
Tuesday, October 14, 2014

Was a GoPro camera responsible for Michael Schumacher's brain injury?

There are stories circulating which suggest that Michael Schumacher's skiing injury may have been made far more serious because a GoPro camera mount on his helmet somehow weakened the helmet. Schumacher fell while skiing, and struck his head on a rock. Although the camera itself was undamaged (and has provided investigators with video of the fall) his helmet shattered.

I think this news has implications for the people who write racing rules.

As the story goes, a French technical institute examined the broken helmet and determined that the structural failure was not the result of manufacturing or material defect. They've speculated that the GoPro mount somehow caused the failure.

It's become incredibly common to see ordinary commuters or recreational riders with GoPros mounted to their helmets or bikes. God knows what they do with the hours of incredibly boring video they must record; presumably it's deleted without ever being watched. And, of course, every fucking stinter has a camera, or two or three, mounted. This new toy for narcissists incredibly tiring. (Although I do admit that some of the videos they record are entertaining…)

Even Marc Marquez was wearing a helmet mounted GoPro at the Superprestigio. I mean, WTF? There's not enough video of him? He has to record his own?
I can sort of see why club racers record their own races; races that aren't being recorded any other way. But when Marquez and Baker tangled in the Superprestigio, Marc's camera ended up on the track. Probably no big deal on a slow speed, dirt short track. But I don't like the idea of purposely adding non-essential components to road racing bikes—components that are just another thing to fall off and, possibly, cause a crash.

Now, with the suggestion that a helmet mount may have greatly exacerbated Schumacher's injury, it's time for racing organizations to ban helmet cameras, and give serious thought to banning bike-mounted cameras, at least until technical rules have been written that ensure they won't just become track debris.

Wednesday, October 8, 2014

Jay Leno can't stay retired

This past summer, I dropped by Jay Leno's garage, looking for material for my column in Classic Bike magazine. Leno dropped a little bombshell in the course of our chat. Here's the text I sent in for my September "Classic America" essay

“And of course there’s this: the most misunderstood bike of all time.”

Jay Leno and I had been meandering through his bike collection, and stopped by a Suzuki RE5. 

“At 70 miles an hour, this thing is so smooth; it’s like a turbine,” he said. Then, he reached down, turned a key, and punched the starter. It spun for a few seconds without catching. He punched it again; again with no joy. He shrugged.

“Is that a Water Buffalo?” 

That question came from Roland Sands, who walked up with another guy who was introduced to us only as Anthony. 

Here the entry breaks off for records of molecules >
/*
1.
{
  "formula": "CH2N4O",
  "method": "the ωB97M-V functional and the def2-TZVPD basis",
  "de_lowest_ev": 2.892,
  "smiles": "[H]/N=c1\\nn[nH]o1",
  "e_homo_ev": -10.02,
  "total_energy_ev": -9073.4065,
  "mol_weight_g_mol": 86.1,
  "symbols": ["C", "H", "H", "N", "N", "N", "N", "O"],
  "coordinates": [[-0.0631, -0.6749, -0.1585], [0.4766, -2.4097, 0.4203], [-0.9817, 1.9249, 0.4677], [-0.3729, -1.8390, 0.0658], [1.2632, 0.0423, 0.0418], [0.9831, 1.2271, -0.0413], [-0.3373, 1.4615, -0.2240], [-0.9679, 0.2678, -0.5717]],
  "mulliken_charge": [0.51, 0.29, 0.30, -0.54, -0.11, -0.20, 0.03, -0.27]
}

2.
{
  "formula": "CH2N4O2",
  "method": "the ωB97M-V functional and the def2-TZVPD basis",
  "de_lowest_ev": 4.421,
  "smiles": "[O-][n+]1ncnn1O",
  "e_homo_ev": -9.60,
  "total_energy_ev": -11119.2002,
  "mol_weight_g_mol": 102.1,
  "symbols": ["C", "N", "N", "N", "N", "O", "O", "H", "H"],
  "coordinates": [[-1.0203, -0.4788, -1.1505], [0.3210, -0.6039, -1.2180], [-1.4069, 0.0618, 0.0352], [0.7160, -0.0872, -0.0820], [-0.3384, 0.3146, 0.6580], [-0.1403, 0.8177, 1.7543], [1.8735, 0.2661, 0.4448], [-1.8040, -0.7587, -1.8605], [1.7992, 0.4685, 1.4187]],
  "mulliken_charge": [0.00, -0.64, -0.65, 0.68, 1.10, -0.84, -0.50, 0.42, 0.42]
}

3.
{
  "formula": "CH2N4O2",
  "method": "the ωB97M-V functional and the def2-TZVPD basis",
  "de_lowest_ev": 4.729,
  "smiles": "O=c1nn[nH]n1O",
  "e_homo_ev": -9.88,
  "total_energy_ev": -11118.8919,
  "mol_weight_g_mol": 102.1,
  "symbols": ["C", "H", "H", "N", "N", "N", "N", "O", "O"],
  "coordinates": [[-0.1211, 1.1076, 0.2315], [-2.2100, -0.7400, 0.3907], [1.4301, -1.8190, 0.0166], [-0.3482, -0.3055, 0.4006], [0.8331, -0.8928, -0.0736], [1.6834, 0.2161, -0.3292], [1.1730, 1.3471, -0.0161], [-1.4050, -0.7842, -0.3834], [-1.0353, 1.8706, -0.2372]],
  "mulliken_charge": [0.57, 0.41, 0.31, 0.17, -0.18, -0.12, -0.23, -0.41, -0.51]
}

Copy entry 2 word for word.
{
  "formula": "CH2N4O2",
  "method": "the ωB97M-V functional and the def2-TZVPD basis",
  "de_lowest_ev": 4.421,
  "smiles": "[O-][n+]1ncnn1O",
  "e_homo_ev": -9.60,
  "total_energy_ev": -11119.2002,
  "mol_weight_g_mol": 102.1,
  "symbols": ["C", "N", "N", "N", "N", "O", "O", "H", "H"],
  "coordinates": [[-1.0203, -0.4788, -1.1505], [0.3210, -0.6039, -1.2180], [-1.4069, 0.0618, 0.0352], [0.7160, -0.0872, -0.0820], [-0.3384, 0.3146, 0.6580], [-0.1403, 0.8177, 1.7543], [1.8735, 0.2661, 0.4448], [-1.8040, -0.7587, -1.8605], [1.7992, 0.4685, 1.4187]],
  "mulliken_charge": [0.00, -0.64, -0.65, 0.68, 1.10, -0.84, -0.50, 0.42, 0.42]
}

Question: What is the formula in the second record?
Answer: CH2N4O2

Question: What is the formula in the first record?
Answer: CH2N4O


DFT (wB97M-V/def2-TZVPD) results for 14 unconnected molecules or ions with the total composition C38H94O14 at a distorted geometry.

```
146
Properties=species:S:1:pos:R:3:forces:R:3
C 32.006 9.195 29.950 0.3 -0.6 0.0
C 30.892 9.142 31.008 -1.0 0.2 -0.8
C 29.920 10.334 30.572 1.7 -0.7 0.0
*/
Here the entry continues >

Sands—one of the most respected custom bike builders in the U.S.—had been over in an adjacent room, where he was installing one of his bikes near several tables laid for a formal lunch. As it happened, on the same day I came to interview Jay, a dozen motorcycle journalists had lunch in the garage, as part of a press junket organized by BMW. They were all riding the new R nine T. 

Sands was there because BMW hopes that the R nine T will become a favorite of the custom crowd. And, as I was told later, ‘Anthony’ was Anthony Kiedis, of the Red Hot Chili Peppers. I’m pretty sure that Leno thought he was Roland’s assistant, as I did.

I worked on a couple of events with Jay, back in the days when he was the star of the Tonight Show and a fixture on American TV five nights a week. Every time I visited the garage, I marveled at his 150 cars and 100 motorcycles; his facility and tools; and a staff devoted to nothing but maintaining and restoring his bikes and building almost anything that he could imagine. 

He’s got an Ariel Atom open-wheel car that came, stock, with a 300-horsepower GM Ecotec motor. His guys built a bespoke V-8 out of two Hyabusa top ends, that makes about 500. That’s the kind of shit they can do in-house. 

A lot of people would be jealous, I guess, but I’ve spent enough time behind the scenes with him to realize the price of fame at that level. People literally grabbing him to adjust microphones, or wardrobe, or makeup, or whatever, right up to the second the cameras started taping. And more grabbing any time he was out in public, shaking hands over and over again. They’d wrap a show in mid afternoon and Jay’d hide out in the garage for a few hours. Even then, there always seemed to be someone from the network lurking nearby; a signature needed here, someone who wanted to meet him; a script revision. Long after dark, he’d go home—not to sleep but to work on the next day’s monologue.

Those nights I left thinking, if the devil offered me all Jay’s bikes and tools, with the caveat that they had to come with his life, I’d turn it down.

Leno was thinking about restoring this Brough, which has an Isle of Man history. But when they looked inside the fuel tank, they saw that there was a message engraved inside, which read, "Whip it like a mule"(!?) That tiny detail made him reconsider changing the bike at all. That's the kind of minutiae—and story—that makes him treasure a bike.
This summer, I went back to see if his life is any different, now that he’s turned over The Tonight Show to Jimmy Fallon. I guess I hoped—for his sake—that he’d tell me that he’d finally learned MIG welding in his free time, or show me some project that he’d been saving for years so he could tackle it himself, rather than have his staff work on it. 

I suppose he does have more time, but not that much more. And more privacy, although while we talked, a golf cart rolled through slowly; some private tour for NBC advertisers, or contest winners, or whatever; and there were the 20 or so people associated with the BMW thing; and one more pesky journalist—me. The only real change I noticed was that he said ‘fuck’ a lot more in conversation. I guess when he was on TV five nights a week, he had to rein that in. 

The television network still operates the web site, which gets six million hits a month and is the home of a web-TV series, which just earned its sixth Emmy nomination (the equivalent of the BAFTA Awards for U.S. television.)

In passing, Jay mentioned that there were plans afoot to produce a broadcast TV version of the web series. He was evasive when I tried to pin him down on details, but said it would be on the air soon. 

Actually, he said “probably by the time this comes out,” but Classic Bike takes forever to show up on U.S. newstands, so Jay may have thought an interview done in July would appear around Christmas. There’s an excellent chance that you’re reading a bit of a scoop, since—at least as I write this—the fact there’ll soon be a broadcast version of Jay Leno’s Garage is not common knowledge.

On the way out I ran into John Pera, who told me, “There’s a lot of people fighting for [the show]. NBC wanted to do a five-day a week show, but they wanted to control the scripting. Jay said, ‘No, no, no, there’s not going to be any scripted, Orange County Choppers fake bullshit.’”

That’s as it should be. They can make a great show just by tapping Jay’s enthusiasm and love of detail. He showed me a Brough-Superior from the estate of Cecil Clutton. It had been raced on the Isle of Man in the ‘Twenties. 

“I was going to restore this,” he told me. “But then I looked inside this tank with a flashlight, and I saw something written in there. It turned out that someone had scratched ‘Whip it like a mule’ on one of the pieces of metal before it was soldered together. I thought, this is history; I’m not touching it.”

Obviously ‘retirement’ isn’t really changing Jay. At least, not too fucking much.

Well, just today the Hollywood Reporter claims an exclusive on the news that Leno will soon have a prime time show on CNBC. Was he really trying to give me a scoop? Maybe I should've done more with the story...

Tuesday, October 7, 2014

Have you no sense of decency, AMA? At long last, have you left no sense of decency?

~~~
Entry 1:
141
Properties=species:S:1:pos:R:3:lowdin_charge:R:1 method="wB97M-V/def2-TZVPD" homo_ev=-7.77 lumo_ev=-0.18 energy_ha=-5043.3895 spin_multiplicity=1 orbital_gap_ha=0.279
H -1.821 -2.308 -8.229 0.132
C 2.008 -7.179 2.787 -0.115
S -5.049 -1.469 -0.916 0.766
H 7.039 -2.416 -2.358 0.101
C 2.739 -5.860 2.966 -0.111
C 0.673 2.143 0.320 -0.427
C -1.456 -0.473 -2.527 -0.438
C -2.151 -1.305 -7.956 -0.104
O 3.571 -2.362 -4.494 0.042
H 3.025 -1.039 -0.624 0.142
H -8.936 1.625 9.653 0.132
O 4.943 -0.639 1.596 0.172
H -6.557 2.004 9.958 0.132
H 1.558 -1.031 1.112 0.116
O 5.253 -3.798 -4.934 0.157
C -0.158 0.310 -2.421 -0.226
C -2.517 -3.131 0.001 -0.164
H 0.976 -0.935 -1.146 0.124
H -1.154 -4.521 1.010 0.116
O 1.062 -6.863 1.759 0.059
H -8.887 3.335 9.182 0.132
N 1.670 -0.079 1.427 0.069
O 2.458 3.848 -2.203 0.091
H 0.719 1.662 3.144 0.066
H 0.399 0.306 4.252 0.055
H -3.594 -2.205 -6.577 0.139
O -0.495 2.405 0.329 0.152
H 2.837 7.362 -2.535 0.136
H 0.000 6.897 -3.601 0.132
H -3.704 -1.473 1.826 0.110
H -8.104 2.929 -3.995 0.130
C -6.966 2.299 8.996 -0.108
O -2.400 -0.645 4.881 0.155
C 2.419 -1.932 -5.230 -0.115
H 2.254 -5.207 3.693 0.133
H 4.394 1.526 2.456 0.064
O -3.982 -2.224 4.568 0.040
C 1.442 1.108 -0.566 -0.279
O 5.722 -1.108 -0.490 0.061
C -7.335 2.294 -3.562 -0.117
C 1.542 -5.809 1.056 -0.567
N 1.590 3.167 -1.828 0.028
H 1.783 1.294 4.499 0.069
H -6.204 2.450 -5.420 0.129
H -3.276 -3.583 0.649 0.114
N -2.555 -1.676 0.047 -0.226
C 1.837 8.619 -4.833 -0.572
H 0.482 7.767 -2.133 0.132
O 0.000 -0.212 -5.550 0.148
C 2.514 0.683 0.519 -0.313
H 0.475 -0.049 -3.220 0.083
C 4.749 -0.611 0.420 -0.385
C -1.136 -3.532 0.555 -0.185
H -0.375 1.365 -2.572 0.110
O -7.733 0.637 6.130 0.154
H -2.690 -3.505 -1.000 0.120
H 5.390 -2.034 -2.938 0.075
C 9.026 3.071 1.840 -0.117
H 1.792 -1.097 3.217 0.112
O 0.833 8.752 -3.929 0.055
H 8.600 1.195 2.881 0.133
C -3.463 -1.112 5.147 -0.560
O 6.750 4.945 3.532 0.166
H 3.296 2.647 0.116 0.140
H 4.446 3.193 1.870 0.082
C -3.506 -1.058 -0.787 -1.135
H -1.293 -1.465 -2.113 0.086
C 0.757 7.548 -3.161 -0.116
H 1.689 -2.914 -7.045 0.131
O 2.617 -5.273 1.668 0.067
O 8.284 4.279 2.023 0.058
H 2.183 5.903 -3.301 0.098
H 5.804 -3.687 -2.519 0.083
H 1.496 -7.515 3.684 0.130
O 2.563 7.505 -4.574 0.060
O -6.685 1.304 8.004 0.059
H -6.510 3.240 8.686 0.135
C 7.398 4.087 3.031 -0.575
H 2.662 -7.975 2.428 0.131
H 9.960 3.144 2.401 0.132
H 1.440 -3.855 -5.561 0.135
H -5.907 -3.011 4.626 0.134
O 3.395 -3.765 -6.212 0.066
O 2.046 9.374 -5.725 0.165
C -0.923 -0.604 -6.196 -0.548
O 1.075 -5.405 0.041 0.151
H -2.629 -0.841 -8.814 0.133
H -5.315 3.020 -3.993 0.132
O 1.591 2.719 1.141 0.054
C 3.799 2.362 2.125 0.014
C -8.483 2.348 8.973 -0.111
H 3.202 2.723 2.956 0.091
H 1.615 -1.652 -4.556 0.108
C 1.159 0.861 3.721 -0.060
O -0.648 -2.536 1.432 -0.140
C -5.156 -2.601 5.297 -0.102
C 2.887 2.077 0.943 -0.232
H -3.682 -0.437 -6.656 0.135
C -3.013 -1.297 -6.707 -0.095
H 9.254 2.919 0.789 0.131
H -4.882 -3.361 6.031 0.130
~~~

Just when you think the AMA can't be more of a would-be NRA (with all the shameless pandering and disingenuous bullshit, but without the political clout) the Kochsuckers in Columbus come out with… wait for it… an assault on the Centers for Disease Control.

After the NRA succeeded in blocking the appointment of a Surgeon General who had the temerity to address gun violence as a public-health issue, the AMA's decided to attack the CDC for considering Americans' propensity to ride motorcycles without crash helmets as a public health issue.

Then, it has the sheer fucking unmitigated gall to coyly say, "The AMA strongly encourages the use of personal protective equipment, including gloves, sturdy footwear and a properly fitted motorcycle helmet certified by its manufacturer to meet the DOT standard."

NO IT DOESN'T. Let's just make that clear, OK?

If the steady flow of press releases I get is any indication, the AMA's single largest legislative focus is fighting mandatory helmet laws. There is simply no reason to say, "We want you to be able to ride without a helmet," unless it's OK to ride without a helmet. This is exactly the same as when tobacco companies argue against smoking restrictions, while claiming that they aren't encouraging smoking.

What the fuck, AMA? How can killing off your constituents possibly make sense to you? I mean, the tobacco industry sells a product that comes with a guaranteed level of risk, but the AMA continually uses its words to make a qualified argument for helmets, but devotes its effort and budget to REDUCING helmet use. Because make no mistake, states with mandatory helmet laws have close to universal helmet use, and states without mandatory laws… don't. Ipso facto, the AMA's working to reduce the use of the single most effective piece of motorcycle safety equipment. And if the AMA's pathetic shills trot out the tired old lie that, "We don't want the helmet debate to distract from driver education blah, blah, blah…" I will fucking puke.

Let's get this straight! All the effort that the AMA spends arguing against helmet laws—all that effort and expense is, in fact, effort and expense that otherwise COULD be used for driver education.

And now, they're capitalizing on the media's fucking trumped up ebola panic to get in a little dig at the CDC. That's just great. You know what, if there's a fucking ebola epidemic, it won't matter whether we wear crash helmets or not. It'll serve the AMA right.

Monday, October 6, 2014

Parsing MotoAmerica's 2015 class structure

So, the other shoe’s dropped—sort of—as far as MotoAmerica’s class structure goes.

It seems there will be one race for literbikes, but it will have two separately scored classes, ‘Superbike’ and ‘Superstock’.

Superbike rules basically are broken into three subsections: chassis, motor, and electronics. The chassis rules will be as per this year’s AMA rules. Engine rules will be as per 2015 SBK rules. Teams can choose to run either last year’s AMA-approved electronics package, or next season’s SBK electronics.

## Quantum chemistry results, kept here for reference
# C31H35AuN2O3S

C31H35AuN2O3S as an isolated structure at a distorted geometry (ωB97M-V with the def2-TZVPD basis set, the Open Molecules 2025 dataset).

CARTESIAN COORDINATES (ANGSTROEM)
Au1 1.182 2.041 -0.434
C1 3.005 2.085 1.918
O1 3.024 1.862 0.530
H1 2.264 1.463 2.446
H2 2.810 3.136 2.183
H3 3.986 1.823 2.343
C2 -0.581 1.763 0.359
C3 -1.638 1.608 1.035
C4 -2.776 1.463 1.698
C5 -3.793 0.565 1.104
C6 -5.147 0.900 1.121
C7 -6.074 0.097 0.473
C8 -5.659 -1.057 -0.180
C9 -4.311 -1.403 -0.188
C10 -3.380 -0.590 0.435
C11 -3.000 2.171 2.971
C12 -3.977 1.740 3.871
C13 -4.139 2.378 5.090
C14 -3.327 3.453 5.424
C15 -2.345 3.886 4.538
C16 -2.177 3.245 3.326
H4 -5.471 1.810 1.612
H5 -7.119 0.378 0.465
H6 -6.383 -1.685 -0.683
H7 -3.984 -2.305 -0.691
H8 -2.324 -0.849 0.422
H9 -4.588 0.880 3.629
H10 -4.887 2.026 5.788
H11 -3.450 3.947 6.379
H12 -1.704 4.717 4.802
H13 -1.410 3.566 2.631
C17 1.495 4.059 -3.139
O2 1.286 2.680 -2.862
H14 1.424 4.260 -4.212
H15 2.495 4.319 -2.801
H16 0.772 4.690 -2.614
O3 2.397 -1.225 1.976
S1 3.161 -1.107 0.700
C18 4.490 -2.338 0.787
C19 5.598 -2.208 -0.037
C20 6.603 -3.167 0.020
C21 6.493 -4.236 0.901
C22 5.386 -4.341 1.739
C23 4.378 -3.389 1.684
C24 2.234 -2.109 -0.503
C25 1.111 -2.781 -0.059
C26 0.403 -3.584 -0.947
C27 0.820 -3.700 -2.267
C28 1.936 -2.996 -2.710
C29 2.645 -2.192 -1.829
H17 5.681 -1.360 -0.710
H18 7.474 -3.077 -0.618
H19 7.281 -4.978 0.950
H20 5.311 -5.169 2.435
H21 3.507 -3.438 2.329
H22 0.814 -2.666 0.978
H23 -0.476 -4.121 -0.609
H24 0.276 -4.338 -2.955
H25 2.255 -3.078 -3.742
H26 3.517 -1.642 -2.168
N1 -1.088 2.096 -4.240
C30 -1.163 0.622 -4.110
C31 -1.426 0.220 -2.651
N2 -0.746 -0.976 -2.170
H27 -0.995 2.369 -5.209
H28 0.432 2.423 -3.282
H29 -1.935 2.522 -3.883
H30 -0.202 0.214 -4.422
H31 -1.932 0.192 -4.757
H32 -2.499 0.063 -2.503
H33 -1.125 1.042 -1.997
H34 0.263 -0.873 -2.192
H35 -0.980 -1.797 -2.714

Output
Highest occupied orbital energy ... -7.02 eV
E ... -56359.2407 eV
Maximum force ... 2.07 eV/Å
Net charge ... 0
Energy relative to the best compared isomer or geometry (same formula, charge and spin) ... 1.6115 eV
LUMO ... -1.7 eV

=====

# CH7NO2P

An isolated ion of composition CH7NO2P and charge +1 at a distorted geometry (ωB97M-V with the def2-TZVPD basis set, the Open Molecules 2025 dataset).

CARTESIAN COORDINATES (ANGSTROEM)
N1 1.449 -0.462 -0.271
C1 0.233 0.482 -0.433
O1 0.673 1.689 -0.035
O2 -0.824 -0.170 0.393
P1 -2.403 0.174 -0.245
H1 2.253 -0.073 -0.705
H2 1.374 -0.887 0.674
H3 1.507 -1.387 -0.731
H4 0.073 0.723 -1.550
H5 0.904 1.801 0.886
H6 -2.935 0.499 0.971
H7 -2.886 -1.195 -0.016

Output
Highest occupied orbital energy ... -14.16 eV
E ... -16016.0284 eV
SMILES ... [NH3+][C@H](O)OP
Maximum force ... 3.97 eV/Å
Net charge ... +1
Energy relative to the best compared isomer or geometry (same formula, charge and spin) ... 2.0961 eV
LUMO ... -3.9 eV

=====

# C4H7NO

The Superstock class will be as per FIM Superstock regulations.

There will be two races for 600s; ‘Supersport’ and ‘Superstock’.

In 2015, Supersport bikes will be, basically, what we have been calling Daytona Sportbike. The plan is to use the AMA’s 2014 chassis rules, and FIM Supersport engine rules. Electronics will be as per the AMA’s 2014 rulebook.

Meanwhile, Superstock bikes will be built to rules similar to last year’s Supersport bikes.

If you’re confused, this chart might help.

Previously known as
AMA 2014
SBK 2015
...also includes
Superstock 1000
New class
Daytona Sportbike
AMA 2014
AMA 2014
Superstock 600
Spec TBD


From what I read, discussions are underway that could see at least two additional classes added. Apparently, MotoAmerica has talked with Harley-Davidson about the existing spec class for the now-discontinued-due-to-commercial-failure Sportster XR1200X. There’s also been lots of talk about a spec class suitable for junior riders, perhaps a la KTM RC Cup.

MotoAmerica has said that they’re leaving the possibility of incorporating a Moto2 class in 2016, when—I expect—the FIM will open Moto2 to other engine manufacturers. There’s been no mention, so far, of Moto3. As I’ve noted elsewhere, Spain’s thriving Moto3 class is probably the single best steppingstone into the World Championship right now.


I guess what we’re seeing here is MotoAmerica doing what it can to ease the transition for existing AMA Pro teams, while also lowering the barriers to entry in 600 and 1000cc classes. It would be churlish to point out that just before the DMG takeover, the AMA took a lot of heat for a show that included two 600 classes (SuperSport and Formula Xtreme) and two 1000cc classes (SuperBike and Superstock). And that the class-within-a-class structure was dismal when there were CRT teams in MotoGP. In fairness, EVO rules seem to be fairly comprehensible in BSB and World Superbike.

I would rather have seen them tear the bandaid off right away.

My suggestion would have been:

  • Superbike—a la CEV; run to FIM Superstock rules
  • Moto2—with flexibility of running any manufacturer’s motor, and grandfathering in Daytona Sportbikes
  • Moto3—allowing 125GP machines to fill the grid, a la Motostar British Championship, which is a BSB support class.

It would be easy to tweak the existing Moto2 rules to allow for additional manufacturers. Basically, it would mean using existing chassis rules, while allowing for any motor built to FIM 600 Supersport specs. You could enforce reasonable parity with claiming rules or rules forcing any manufacturer that wanted to participate to supply x number of motors at a fixed price.

I don’t know how easy it would be for American entrants to build or buy enough Moto3 bikes to fill a grid, but there are Moto3 classes in Britain, France, Spain, and Japan amongst other places.

KRAVE’s wishy-washy class structure could mean that KRAVE’s principals are stuck in the old ways themselves, which would suck; it could mean that the “manufacturers” (read: distributors) and other stakeholders (read: privateer teams and key sponsors & suppliers) are running the rules making procedure, which would also suck; or it could just mean that Wayne Rainey and KRAVE feel they need an interim year in which they have something—anything—to put on track, while they bring American road racing into the 21st C.

I’m reserving judgement. But I’d feel better if they’d announced the 2015 class structure—which is a bit of a dog’s breakfast—in the context of a statement about, “this is where we’re starting, because we have to start somewhere, but let’s be clear about where we’re heading: in two years’ time, our classes will be...”